### Exercise
Copy the whole of the lines below unchanged.

### Material
/*
(1)
A structure of composition C34H35N5O3S2Zr in a non-equilibrium geometry, computed with ωB97M-V/def2-TZVPD.

Geometry (Å):
1 Zr 13.258 11.249 9.423
2 C 11.383 9.016 11.324
3 N 11.532 10.462 11.383
4 C 11.873 10.851 12.776
5 C 10.323 11.126 10.911
6 C 9.266 11.259 11.774
7 C 8.148 12.050 11.480
8 C 8.146 12.744 10.289
9 C 9.150 12.580 9.343
10 C 10.244 11.720 9.650
11 N 11.312 11.403 8.723
12 C 10.919 11.023 7.463
13 C 9.674 10.683 7.064
14 C 9.367 10.237 5.765
15 C 10.432 10.033 4.849
16 C 11.708 10.499 5.199
17 C 11.934 11.001 6.488
18 N 13.222 11.519 6.964
19 C 13.229 13.006 6.519
20 C 14.365 10.886 6.274
21 H 10.601 8.746 12.039
22 H 12.232 8.401 11.583
23 H 11.119 8.577 10.335
24 H 11.448 10.164 13.463
25 H 11.626 11.883 12.905
26 H 12.931 10.799 12.990
27 H 9.351 10.636 12.647
28 H 7.378 12.144 12.240
29 H 7.196 13.220 9.967
30 H 8.994 12.888 8.288
31 H 8.927 10.799 7.791
32 H 8.346 9.927 5.563
33 H 10.324 9.512 3.915
34 H 12.497 10.434 4.467
35 H 13.203 13.011 5.448
36 H 14.155 13.468 6.940
37 H 12.331 13.510 6.855
38 H 14.295 10.990 5.172
39 H 14.361 9.855 6.609
40 H 15.270 11.473 6.554
41 C 15.092 9.112 11.501
42 C 15.338 10.489 11.880
43 C 16.427 10.740 12.701
44 C 16.717 12.010 13.105
45 C 16.030 13.089 12.540
46 C 16.515 14.407 12.699
47 C 15.767 15.387 12.159
48 C 14.575 15.109 11.504
49 C 14.141 13.831 11.245
50 S 12.750 13.610 10.245
51 C 14.950 12.771 11.785
52 N 14.585 11.550 11.452
53 H 15.880 8.758 10.833
54 H 14.074 8.798 11.115
55 H 14.983 8.489 12.424
56 H 17.014 9.893 13.072
57 H 17.545 12.177 13.780
58 H 17.475 14.662 13.115
59 H 16.193 16.430 12.108
60 H 13.914 15.878 11.163
61 C 11.819 7.429 7.524
62 S 13.310 7.693 8.420
63 O 14.467 7.487 7.591
64 O 13.314 6.808 9.569
65 O 13.238 9.142 8.884
66 H 11.747 6.365 7.332
67 H 11.976 7.878 6.481
68 H 11.009 7.864 8.011
69 N 20.633 12.273 7.166
70 C 19.554 12.219 7.532
71 C 18.226 12.082 8.074
72 C 17.472 13.231 8.474
73 C 16.206 13.018 8.965
74 C 15.539 11.765 8.936
75 C 16.377 10.670 8.633
76 C 17.703 10.853 8.128
77 H 17.875 14.253 8.315
78 H 15.574 13.870 9.239
79 H 15.940 9.666 8.531
80 H 18.249 10.074 7.686

Energy relative to the best compared isomer or geometry (same formula, charge and spin) = 39.9 kcal/mol
Lowest unoccupied orbital energy = -0.52 eV
Total energy = -2659.61560 a.u.


(2)
A structure of composition HN2P in a non-equilibrium geometry, computed with ωB97M-V/def2-TZVPD.

Geometry (Å):
1 N -0.816 -0.826 -0.283
2 N -0.985 0.364 -0.258
3 P 0.689 0.065 -0.554
4 H 1.112 0.398 1.096

Energy relative to the best compared isomer or geometry (same formula, charge and spin) = 23.2 kcal/mol
Lowest unoccupied orbital energy = 0.21 eV
Total energy = -451.36472 a.u.


(3)
A structure of composition C32H54AlBN8 in a non-equilibrium geometry, computed with ωB97M-V/def2-TZVPD.

Geometry (Å):
1 Al -1.601 2.643 -0.657
2 B 0.220 0.703 0.575
3 H -0.348 1.387 1.385
4 H 0.727 1.443 -0.245
5 H 1.127 0.053 1.075
6 H -0.543 -0.017 -0.019
7 C 0.987 4.293 4.801
8 C 2.383 4.297 4.174
9 C 2.504 3.407 2.926
10 C 1.446 3.703 1.969
11 N 0.617 3.922 1.212
12 H 0.669 3.280 5.067
13 H 0.255 4.736 4.129
14 H 1.038 4.845 5.738
15 H 3.086 3.960 4.937
16 H 2.645 5.321 3.904
17 H 2.389 2.367 3.244
18 H 3.468 3.557 2.445
19 C -1.835 -1.855 -5.450
20 C -0.568 -2.434 -4.832
21 C 0.397 -1.353 -4.308
22 C -0.257 -0.398 -3.418
23 N -0.770 0.382 -2.752
24 H -1.551 -1.254 -6.323
25 H -2.405 -1.222 -4.775
26 H -2.409 -2.657 -5.914
27 H -0.063 -3.043 -5.577
28 H -0.831 -3.053 -3.968
29 H 0.843 -0.782 -5.125
30 H 1.216 -1.841 -3.773
31 C -3.925 -1.898 -2.729
32 C -5.103 -1.939 -1.777
33 C -4.686 -1.982 -0.312
34 C -3.756 -0.896 0.011
35 N -3.041 -0.040 0.279
36 H -3.119 -2.599 -2.479
37 H -3.430 -0.924 -2.799
38 H -4.236 -2.126 -3.750
39 H -5.776 -2.765 -2.005
40 H -5.725 -1.049 -1.915
41 H -4.212 -2.938 -0.078
42 H -5.525 -1.840 0.372
43 C -2.527 -1.483 3.448
44 C -3.118 -0.556 4.496
45 C -3.841 0.655 3.962
46 C -2.988 1.560 3.185
47 N -2.317 2.245 2.557
48 H -1.824 -0.968 2.785
*/

### Result
(1)
A structure of composition C34H35N5O3S2Zr in a non-equilibrium geometry, computed with ωB97M-V/def2-TZVPD.

Geometry (Å):
1 Zr 13.258 11.249 9.423
2 C 11.383 9.016 11.324
3 N 11.532 10.462 11.383
4 C 11.873 10.851 12.776
5 C 10.323 11.126 10.911
6 C 9.266 11.259 11.774
7 C 8.148 12.050 11.480
8 C 8.146 12.744 10.289
9 C 9.150 12.580 9.343
10 C 10.244 11.720 9.650
11 N 11.312 11.403 8.723
12 C 10.919 11.023 7.463
13 C 9.674 10.683 7.064
14 C 9.367 10.237 5.765
15 C 10.432 10.033 4.849
16 C 11.708 10.499 5.199
17 C 11.934 11.001 6.488
18 N 13.222 11.519 6.964
19 C 13.229 13.006 6.519
20 C 14.365 10.886 6.274
21 H 10.601 8.746 12.039
22 H 12.232 8.401 11.583
23 H 11.119 8.577 10.335
24 H 11.448 10.164 13.463
25 H 11.626 11.883 12.905
26 H 12.931 10.799 12.990
27 H 9.351 10.636 12.647
28 H 7.378 12.144 12.240
29 H 7.196 13.220 9.967
30 H 8.994 12.888 8.288
31 H 8.927 10.799 7.791
32 H 8.346 9.927 5.563
33 H 10.324 9.512 3.915
34 H 12.497 10.434 4.467
35 H 13.203 13.011 5.448
36 H 14.155 13.468 6.940
37 H 12.331 13.510 6.855
38 H 14.295 10.990 5.172
39 H 14.361 9.855 6.609
40 H 15.270 11.473 6.554
41 C 15.092 9.112 11.501
42 C 15.338 10.489 11.880
43 C 16.427 10.740 12.701
44 C 16.717 12.010 13.105
45 C 16.030 13.089 12.540
46 C 16.515 14.407 12.699
47 C 15.767 15.387 12.159
48 C 14.575 15.109 11.504
49 C 14.141 13.831 11.245
50 S 12.750 13.610 10.245
51 C 14.950 12.771 11.785
52 N 14.585 11.550 11.452
53 H 15.880 8.758 10.833
54 H 14.074 8.798 11.115
55 H 14.983 8.489 12.424
56 H 17.014 9.893 13.072
57 H 17.545 12.177 13.780
58 H 17.475 14.662 13.115
59 H 16.193 16.430 12.108
60 H 13.914 15.878 11.163
61 C 11.819 7.429 7.524
62 S 13.310 7.693 8.420
63 O 14.467 7.487 7.591
64 O 13.314 6.808 9.569
65 O 13.238 9.142 8.884
66 H 11.747 6.365 7.332
67 H 11.976 7.878 6.481
68 H 11.009 7.864 8.011
69 N 20.633 12.273 7.166
70 C 19.554 12.219 7.532
71 C 18.226 12.082 8.074
72 C 17.472 13.231 8.474
73 C 16.206 13.018 8.965
74 C 15.539 11.765 8.936
75 C 16.377 10.670 8.633
76 C 17.703 10.853 8.128
77 H 17.875 14.253 8.315
78 H 15.574 13.870 9.239
79 H 15.940 9.666 8.531
80 H 18.249 10.074 7.686

Energy relative to the best compared isomer or geometry (same formula, charge and spin) = 39.9 kcal/mol
Lowest unoccupied orbital energy = -0.52 eV
Total energy = -2659.61560 a.u.


(2)
A structure of composition HN2P in a non-equilibrium geometry, computed with ωB97M-V/def2-TZVPD.

Geometry (Å):
1 N -0.816 -0.826 -0.283
2 N -0.985 0.364 -0.258
3 P 0.689 0.065 -0.554
4 H 1.112 0.398 1.096

Energy relative to the best compared isomer or geometry (same formula, charge and spin) = 23.2 kcal/mol
Lowest unoccupied orbital energy = 0.21 eV
Total energy = -451.36472 a.u.


(3)
A structure of composition C32H54AlBN8 in a non-equilibrium geometry, computed with ωB97M-V/def2-TZVPD.

Geometry (Å):
1 Al -1.601 2.643 -0.657
2 B 0.220 0.703 0.575
3 H -0.348 1.387 1.385
4 H 0.727 1.443 -0.245
5 H 1.127 0.053 1.075
6 H -0.543 -0.017 -0.019
7 C 0.987 4.293 4.801
8 C 2.383 4.297 4.174
9 C 2.504 3.407 2.926
10 C 1.446 3.703 1.969
11 N 0.617 3.922 1.212
12 H 0.669 3.280 5.067
13 H 0.255 4.736 4.129
14 H 1.038 4.845 5.738
15 H 3.086 3.960 4.937
16 H 2.645 5.321 3.904
17 H 2.389 2.367 3.244
18 H 3.468 3.557 2.445
19 C -1.835 -1.855 -5.450
20 C -0.568 -2.434 -4.832
21 C 0.397 -1.353 -4.308
22 C -0.257 -0.398 -3.418
23 N -0.770 0.382 -2.752
24 H -1.551 -1.254 -6.323
25 H -2.405 -1.222 -4.775
26 H -2.409 -2.657 -5.914
27 H -0.063 -3.043 -5.577
28 H -0.831 -3.053 -3.968
29 H 0.843 -0.782 -5.125
30 H 1.216 -1.841 -3.773
31 C -3.925 -1.898 -2.729
32 C -5.103 -1.939 -1.777
33 C -4.686 -1.982 -0.312
34 C -3.756 -0.896 0.011
35 N -3.041 -0.040 0.279
36 H -3.119 -2.599 -2.479
37 H -3.430 -0.924 -2.799
38 H -4.236 -2.126 -3.750
39 H -5.776 -2.765 -2.005
40 H -5.725 -1.049 -1.915
41 H -4.212 -2.938 -0.078
42 H -5.525 -1.840 0.372
43 C -2.527 -1.483 3.448
44 C -3.118 -0.556 4.496
45 C -3.841 0.655 3.962
46 C -2.988 1.560 3.185
47 N -2.317 2.245 2.557
48 H -1.824 -0.968 2.785